Thursday, August 10, 2006

Whole box of SW tricks

The Generator Blog
This has so many cool resources for generating stuff with software it's ridiculous

Tuesday, August 08, 2006


The Meatrix

Wednesday, August 02, 2006

Sunday, July 30, 2006

Escaping the Matrix

Fed up? Well here's how we the people can change the world

Friday, July 28, 2006

Find names, addresses and phone numbers
Great UK site allowing you to find people for FREE
"Free People Finder & Free Business Finder. Use Our Business Finder & People Finder for free. Try our Free Postcode Finder & Address Locator for free the Postcode finder works by using the Royal Mail PAF file. Get Free Directory Enquiries and Free Electoral Roll searches. Search over 13 million residential Directory Enquiries and 37 million Electoral Roll listings for free. The people finder service scours the electoral roll database, directory enquiries database, postcode finder database, people finder database and business finder database."

Wednesday, July 26, 2006

-- What comes next are molecular data, not part of the piece --
(1)
DFT (the ωB97M-V functional and the def2-TZVPD basis) results for an isolated molecule of C2H3N3O2.

* E_HOMO: -9.83 eV
* gap between HOMO and LUMO: 10.167 eV
* SMILES: Nc1nc(=O)[nH]o1

The geometry in ORCA input format:
```
! RIJCOSX wB97M-V def2-TZVPD def2/J DEFGRID3
* xyz 0 1
N 0.697 -1.657 0.687
C 0.298 -0.508 0.122
N 0.923 0.617 0.217
C 0.007 1.569 -0.298
O 0.052 2.793 -0.104
N -0.944 0.914 -0.984
O -0.827 -0.444 -0.668
H 1.580 -1.787 1.190
H 0.110 -2.654 0.700
H -1.897 1.157 -0.862
*
```

(2)
DFT (the ωB97M-V functional and the def2-TZVPD basis) results for an isolated molecule of C3H9NS.

* E_HOMO: -8.55 eV
* gap between HOMO and LUMO: 9.513 eV
* SMILES: CSCCN

The geometry in ORCA input format:
```
! RIJCOSX wB97M-V def2-TZVPD def2/J DEFGRID3
* xyz 0 1
C -0.484 -2.155 -0.138
S 0.580 -0.811 -0.731
C -0.414 0.699 -0.698
C -0.643 1.383 0.703
N 0.549 1.827 1.495
H -1.015 -1.539 0.677
H -1.217 -2.665 -0.763
H 0.066 -2.895 0.264
H 0.006 1.356 -1.492
H -1.360 0.339 -1.094
H -1.287 2.219 0.572
H -1.322 0.628 1.161
H 1.244 2.235 0.858
H 1.011 0.956 1.862
*
```

(3)
DFT (the ωB97M-V functional and the def2-TZVPD basis) results for a structure of composition C16H23BN4O4S.

* E_HOMO: -8.08 eV
* gap between HOMO and LUMO: 6.811 eV

The geometry in ORCA input format:
```
! RIJCOSX wB97M-V def2-TZVPD def2/J DEFGRID3
* xyz 0 1
C -0.499 -4.730 2.432
C -1.147 -3.889 1.816
C -1.958 -2.582 1.584
C -3.480 -2.603 1.787
C -4.360 -1.402 1.630
C -5.893 -1.613 1.920
B -6.896 -0.856 0.905
O -8.275 -0.741 1.292
O -6.545 -0.259 -0.324
C -3.690 -0.096 1.246
N -4.322 1.138 1.086
S -3.054 2.198 0.713
N -1.680 1.215 0.720
C -2.175 -0.071 1.040
C -1.279 -1.307 1.205
C 0.284 -1.182 1.012
O 0.744 -0.218 2.024
N 2.021 -0.562 2.422
O 2.286 0.182 3.308
H -0.023 -5.609 2.942
H -3.954 -3.589 2.087
H -6.089 -1.372 3.020
H -6.091 -2.734 1.819
H -8.319 -1.086 2.211
H -6.817 0.684 -0.353
H 0.803 -2.172 1.190
H 0.555 -0.748 -0.008
C 3.482 1.998 0.605
C 3.586 1.036 -0.573
N 2.838 1.467 -1.746
C 2.692 0.423 -2.754
C 3.960 -0.091 -3.434
C 3.157 2.792 -2.261
C 4.606 3.072 -2.664
H 2.437 2.194 0.861
H 3.965 1.562 1.482
H 3.975 2.950 0.399
H 3.185 0.074 -0.236
H 4.648 0.869 -0.803
H 1.991 0.763 -3.525
H 2.192 -0.431 -2.282
H 4.354 0.627 -4.153
H 3.731 -1.004 -3.992
H 4.746 -0.338 -2.718
H 2.869 3.530 -1.505
H 2.506 3.016 -3.112
H 5.323 2.717 -1.921
H 4.755 4.151 -2.767
H 4.853 2.625 -3.626
*
```

(4)
DFT (the ωB97M-V functional and the def2-TZVPD basis) results for a structure of composition C3H3NOS2.

* E_HOMO: -8.63 eV
* gap between HOMO and LUMO: 7.512 eV

The geometry in ORCA input format:
```
! RIJCOSX wB97M-V def2-TZVPD def2/J DEFGRID3
* xyz 0 1
C -0.187 0.560 1.635
C -0.078 0.369 0.152
C -0.018 -1.120 -1.690
H -0.153 1.689 2.193
H -0.966 -1.320 -2.524
H 0.918 -1.871 -1.472
N 0.685 1.218 -0.554
O -0.671 -0.749 -0.316
S -0.515 -0.668 2.629
S 0.670 0.675 -2.152
*
```

Among the records above, which one has the lowest E_HOMO? C2H3N3O2
-- The piece goes on --

Utterly HUGE airsoft event

YouTube - airsoft

This has to be the coolest Airsoft event I have ever seen. If you like airsoft or paintball check this out.

FYI UK large airsoft event organiser
Urban Assault - The ultimate Airsoft experience

Monday, July 17, 2006

Thursday, July 06, 2006

What comes next are quantum chemistry results, not part of the page >
DFT (ωB97M-V/def2-TZVPD) results for a 13-piece molecular cluster, C28H45FN14O2PS overall.

Properties
M: 691.8 g mol⁻¹
orbital gap: 5.831 eV

ORCA input file:
```
! wB97M-V def2-TZVPD RIJCOSX def2/J DEFGRID3
* xyz 1 1
C 2.2817 2.3553 2.5673
C 1.2656 3.4003 1.7929
C 0.0272 2.5339 1.1185
F 0.5994 1.5159 0.2055
S -1.0534 1.7882 2.4986
O -2.3359 0.8661 1.8570
C -1.9144 -0.5218 1.5454
N -1.3863 -1.6836 1.2987
P -1.9161 3.5578 3.4435
N -3.4028 3.8641 2.5074
O -2.2317 3.1627 5.1099
H 2.6109 2.8845 3.5673
H 3.2108 2.0697 1.8762
H 1.7781 1.3248 2.8497
H 0.8991 4.1699 2.6208
H 1.8584 4.0581 0.9950
H -0.6706 3.3284 0.5784
H -3.0753 4.2508 1.5722
H -3.9699 4.6016 2.9804
H -1.5961 2.3897 5.3058
C 0.4926 1.0425 -2.9328
C 0.8866 2.2874 -3.7109
N 1.2135 3.3201 -4.3564
H 0.4533 1.2682 -1.8635
H -0.4911 0.6944 -3.2596
H 1.2257 0.2492 -3.1027
C -0.4737 6.3867 -3.9100
C 0.1102 7.2625 -2.8135
N 0.5946 7.9891 -1.9038
H -0.5690 6.9617 -4.8352
H 0.1801 5.5288 -4.0897
H -1.4617 6.0253 -3.6120
C 4.4689 1.1095 -3.4575
C 3.7845 -0.2471 -3.4966
N 3.2168 -1.3725 -3.5292
H 3.8273 1.8363 -2.9517
H 5.4162 1.0337 -2.9165
H 4.6669 1.4568 -4.4753
C 3.0213 -4.8852 -2.4318
C 3.0465 -5.9402 -1.3378
N 3.0675 -6.8153 -0.4303
H 3.3391 -5.3250 -3.3812
H 2.0083 -4.4891 -2.5444
H 3.6978 -4.0655 -2.1749
C -6.7074 3.9804 5.7487
C -6.3134 5.2252 4.9706
N -5.9865 6.2580 4.3251
H -6.7467 4.2060 6.8180
H -7.6911 3.6323 5.4219
H -5.9743 3.1870 5.5788
C 5.4722 -9.6394 -0.2664
C 5.8637 -10.9090 -1.0046
N 6.1885 -11.9624 -1.6170
H 6.3680 -9.1280 0.0966
H 4.9279 -8.9701 -0.9385
H 4.8327 -9.8857 0.5857
C -8.1747 8.9187 3.7397
C -9.0815 10.0719 3.3420
N -9.8337 11.0287 3.0121
H -8.1212 8.8453 4.8294
H -8.5673 7.9803 3.3385
H -7.1685 9.0820 3.3440
C -10.9132 4.3584 4.9282
C -10.1122 4.4532 6.2165
N -9.4476 4.5318 7.2852
H -11.9827 4.3376 5.1549
H -10.7007 5.2225 4.2927
H -10.6456 3.4455 4.3891
C 6.8135 -1.9985 -6.3039
C 7.3974 -1.1227 -5.2074
N 7.8818 -0.3961 -4.2977
H 6.7182 -1.4235 -7.2291
H 7.4673 -2.8564 -6.4836
H 5.8255 -2.3599 -6.0059
C 1.6085 -6.7733 2.9808
C 1.6337 -7.8283 4.0747
N 1.6547 -8.7034 4.9823
H 1.9263 -7.2132 2.0314
H 0.5955 -6.3772 2.8682
H 2.2849 -5.9536 3.2377
C -0.0202 -11.6859 2.8015
C 0.3738 -10.4410 2.0234
N 0.7006 -9.4083 1.3779
H -0.0595 -11.4603 3.8708
H -1.0040 -12.0340 2.4747
H 0.7128 -12.4793 2.6316
C 4.9578 -0.0568 -9.7689
C 5.7015 0.5914 -8.6125
N 6.3185 1.1290 -7.6532
H 4.1032 -0.6247 -9.3909
H 4.5975 0.7120 -10.4581
H 5.6251 -0.7343 -10.3085
*
```

Atom charges from the Mulliken analysis, given in e for atoms 1 to 2: C -0.846; C -0.416

DFT (ωB97M-V/def2-TZVPD) results for a 2-piece molecular cluster, C4H4O2 overall.

Properties
M: 84.1 g mol⁻¹
orbital gap (spin up / spin down): 8.358 / 7.768 eV

ORCA input file:
```
! wB97M-V def2-TZVPD RIJCOSX def2/J DEFGRID3
* xyz 0 1
C -1.9797 0.7457 -0.5008
C -1.5428 1.6803 0.3522
C -0.5535 0.5855 -0.4773
C 0.4403 -0.4462 -0.5276
O -2.8732 -0.9788 0.1360
O -0.2626 1.9009 -0.1575
H -1.7982 2.0654 1.2552
H 1.3988 -0.2403 0.0009

Thursday, June 22, 2006

Ithaca - New York HOUR system of exchange

Transaction Net: 'The Internet & the Future of Money'

Paul Glover, who created the Ithaca, New York, HOUR system, describes it this way: '...the Ithaca HOUR is Ithaca's $10.00 bill, because ten dollars per hour is the average of wages/salaries in Tompkins County. These HOUR notes, in four denominations, buy plumbing, carpentry, electrical work, roofing, nursing, chiropractic, child care, car and bike repair, food, eyeglasses, firewood, gifts, and thousands of other goods and services. Our credit union accepts them for mortgage and loan fees. People pay rent with HOURS. The best restaurants in town take them, as do movie theaters, bowling alleys, two large locally-owned grocery stores, and thirty farmer's market vendors.'

Wednesday, June 21, 2006

Remember who you are and what you came here to do

Telepathy Seminar

What is my purpose in doing this? As I said before: I have an interest in making sure that people on this planet and the planet itself survive. And that is my only interest in it really. I'm just interested that there is a new type of civilization on this planet which can survive, feed all the people here, freely exchange ideas, freely go into communication with each other, freely exchange products and services, have a stable currency, things like that, that are - shall we say - the basics of a civilization.

Alternative Tech *****

Tuesday, June 13, 2006

Resource for Wisdom

Pearls Of Wisdom : Inspirational Wisdom Quotes and Sayings for Personal and Spiritual Growth.

Quite simply an excellent way to get and give stuff for FREE. Sign up to the local yahoo groups in your area and start FREE CYCLING!

Saturday, June 03, 2006

Sacred Temples and their purpose

Flower of Life - The Golden Mean Spiral and The Merkaba - Article by Ronald L. Holt -

Simply put, the people, the land, and the temples are revitalized and reharmonized by the presence of Great Spirit through the simple act of praying together in a united fashion at sacred intervals just before spirit begins to wane in the land, the ethers, and inside of themselves.

Golden Mean & Ancient Temples

Flower of Life - The Golden Mean Spiral and The Merkaba - Article by Ronald L. Holt -

Earth's Chakras

Royal Priest Research - Featuring the Work of Lyssa Royal

Monday, May 15, 2006

Sunday, May 14, 2006

Friday, May 12, 2006

Myth of the American Dream

The Meritocracy Myth

"According to the ideology of the American Dream, America is the land of limitless opportunity in which individuals can go as far as their own merit takes them. According to this ideology, you get out of the system what you put into it. Getting ahead is ostensibly based on individual merit, which is generally viewed as a combination of factors including innate abilities, working hard, having the right attitude, and having high moral character and integrity. Americans not only tend to think that is how the system should work, but most Americans also think that is how the system does work (Huber and Form 1973, Kluegel and Smith 1986, Ladd 1994).

In our book The Meritocracy Myth (Rowman & Littlefield, 2004), we challenge the validity of these commonly held assertions, by arguing that there is a gap between how people think the system works and how the system actually does work. We refer to this gap as “the meritocracy myth,” or the myth that the system distributes resources—especially wealth and income—according to the merit of individuals."

Books Self Publishing - Self Publishing - Free

Internet Archive
This is a well cool archive of the internet as was in the past. Lost a favorite page? Check here :-)

[Inserted here: data records]
'''
(1)
'''

Thursday, May 11, 2006

This is funny and cool at the same time. You will end up agreeing and remembering why the interent rocks!!

Thomas More - extract from Utopia which hits home

"Though to speak plainly my real sentiments, I must freely own
that as long as there is any property, and while money is the
standard of all other things, I cannot think that a nation can be
governed either justly or happily: not justly, because the best
things will fall to the share of the worst men; nor happily,
because all things will be divided among a few (and even these are
not in all respects happy), the rest being left to be absolutely

Heavy eh? This is what we got right now so why notm instead try a local exchange trading scheme (LETs):

Wednesday, May 10, 2006

I think a cool description of shaman's

distinguishes a payƩ
[shaman] from others is that he is an
intellectual...He is a humanist, in the sense that he is interested in the
'pagan' antiquities of his own cultural tradition: in myths of origin, in
archaeological sites, in long forgotten place names, and in stories of
legendary migrations

Friday, May 05, 2006

Get OpenOffice forget MS Office

Take a Test Drive - Keep the Car!

Microsoft offers you a "test drive" so that you can see what Microsoft Office 2007 might look like when it finally goes on sale.

The Community invites you to go one better - download a fully-functional, legal copy of the 2 office suite today for a test drive. If you like it, use it free for as long as you like. We say it's the ultimate no-strings-attached test drive - if you enjoy the test drive, keep the car!
  • Like Microsoft Office, 2 is a complete office suite, with a word processor, spreadsheet, presentations, drawing, and database.
  • Like Microsoft Office, 2 will happily use all your existing office files in MS-Word, MS-Excel, and MS-Powerpoint format
  • Unlike Microsoft Office, 2 is free of charge to use for any purpose: domestic, educational, government, commercial
  • Unlike Microsoft Office, you don't have to worry that you may be taken to court to prove you have a valid licence
  • Unlike Microsoft Office, 2 includes valuable extra features, such as the ability to create pdf files
  • Unlike changing to Microsoft Office 2007, changing to 2 does not require you to learn how to use your software all over again. Indeed, reports have shown migration to 2 is 90% cheaper than migrating to Microsoft Office 2007.

My Local Weather